Friday, January 27, 2017

Behaviorism and Technology

            Behaviorism can essentially be defined as a behavior management plan that either reinforces or punishes behaviors. The relationship between behaviorism, instructional strategies and technology tools all interrelate one common factor; the student. In the traditional classroom, students are conditioned depending on their behaviors demonstrated. For example, in an elementary classroom, a teacher might have a behavioral contract, a recess chart or reward chart. Depending on the behaviors demonstrated the student may either be rewarded or punished accordingly. Dr. Orey described behaviorism and technology in such a way that may perfect sense. Technology tutorials are used to present a small amount of information with guiding questions and encouraging answers that are then deemed right or wrong.  Strategies that work in relation to the learning theory are integration of tutorials and encouraging student independence. Students can now watch their own independent tutorial and perform accordingly based off of their provided answer. One downfall is that tutorials are simply remediation and reducing the idea of focusing on student understanding. This style of teaching (drill and practice), is not an enriched way of teaching or learning. 

            I utilize many behavioristic approaches in the classroom, but I do not integrate technology within each. Perhaps I could utilize google forms on a more regular basis which would provide immediate feedback on given topics? I am trying to think about how to integrate both into a physical education setting, but it is difficult to wrap my mind around.
If I integrated google forms within units, students meet ISTE 4: Critical Thinking, Problem Solving, and Decision Making. This is because with the use of google forms students are deciding which of the answers is correct per immediate feedback.They must utilize critical thinking skills depending on the question being asked too. With the implementation of such tool, teachers would then be meeting ISTE 2: Design and developing digital age learning experiences and assessments. By providing these 21st century learning experiences, the teacher is preparing the student for potential college and career experiences in the technology realm. 

These data records were left in the page by mistake:
+++
(1)
DFT (PBE) results for a relaxed structure of TbEuAgRu.

The space group is F-43m (No. 216) and the conventional cell measures 7.128, 7.128 and 7.128 Å, with angles of 90.00, 90.00 and 90.00 degrees. The distinct sites, in fractional coordinates, are Tb at (0.000, 0.000, 0.000), Eu at (0.000, 0.000, 0.500), Ag at (0.250, 0.250, 0.250) and Ru at (0.250, 0.250, 0.750).

The energy relative to the elements is -0.13 eV per atom. As for the density of states at the Fermi level: 11.34 states/eV/f.u. Its calculated density is 9.534 Mg/m³. For the calculated volume, the calculation gives 362 Å³ per cell.

---

(2)
DFT (PBE) results for a relaxed structure of EuThAgRu.

The space group is F-43m (No. 216) and the conventional cell measures 7.233, 7.233 and 7.233 Å, with angles of 90.00, 90.00 and 90.00 degrees. The distinct sites, in fractional coordinates, are Eu at (0.000, 0.000, 0.000), Th at (0.000, 0.000, 0.500), Ag at (0.250, 0.250, 0.250) and Ru at (0.250, 0.250, 0.750).

The energy relative to the elements is -0.11 eV per atom. As for the density of states at the Fermi level: 2.56 states/eV/f.u. Its calculated density is 10.407 Mg/m³. For the calculated volume, the calculation gives 378 Å³ per cell.

---

Look up the calculated density of the first one.
9.534 Mg/m³

---

Number 1 is which compound?
TbEuAgRu

=====

# Tm3Au4

A relaxed structure of Tm3Au4 (GGA-PBE, the Alexandria database).

Cell lengths 8.595, 8.595, 8.595 Å; angles 33.22, 33.22, 33.22 degrees
Element x y z (fractional)
Tm 0.000 0.000 0.000
Tm 0.242 0.242 0.242
Tm 0.758 0.758 0.758
Au 0.121 0.121 0.121
Au 0.366 0.366 0.366
Au 0.634 0.634 0.634
Au 0.879 0.879 0.879

As for the calculated total energy: -4.518 eV/atom. The value obtained for the formation energy from the elements is -0.729 eV per atom. For the magnetic moment, the calculation gives 0.0 Bohr magnetons per cell.

# CsGa2Fe

A relaxed structure of CsGa2Fe (GGA-PBE, the Alexandria database).

Cell lengths 5.103, 5.103, 5.103 Å; angles 60.00, 60.00, 60.00 degrees
Element x y z (fractional)
Cs 0.000 0.000 0.000
Ga 0.250 0.250 0.250
Ga 0.750 0.750 0.750
Fe 0.500 0.500 0.500

As for the calculated total energy: -2.932 eV/atom. The value obtained for the formation energy from the elements is 0.910 eV per atom. For the magnetic moment, the calculation gives 2.8 Bohr magnetons per cell.

=====

Record 1
An optimized crystal structure of CaAl2AsO6, computed with PBE.

a = 6.814 Å, b = 6.814 Å, c = 6.072 Å
α = 105.17°, β = 105.17°, γ = 100.73°
Element x y z (fractional)
1 Ca 0.101 0.899 0.750
2 Ca 0.899 0.101 0.250
3 Al 0.292 0.446 0.831
4 Al 0.446 0.292 0.331
5 Al 0.554 0.708 0.669
6 Al 0.708 0.554 0.169
7 As 0.211 0.789 0.250
8 As 0.789 0.211 0.750
9 O 0.038 0.221 0.694
10 O 0.145 0.636 0.917
11 O 0.221 0.038 0.194
12 O 0.333 0.427 0.543
13 O 0.364 0.855 0.583
14 O 0.427 0.333 0.043
15 O 0.573 0.667 0.957
16 O 0.636 0.145 0.417
17 O 0.667 0.573 0.457
18 O 0.779 0.962 0.806
19 O 0.855 0.364 0.083
20 O 0.962 0.779 0.306
+++

I could not imagine integrating the Hour of Code into my classroom. That would be ridiculous. However, I would integrate Genius Hour into my Health units in several different fashions. Ideally, students would identify an area in which they are interested in whether it is a diet, health concern, awareness, disease, etc. They would create a question in which they would want to answer and research it with a plan, cure, presentations in mind. These research concepts would be geared towards each individual and they would have time during class to work on their piece. Currently, the district I teach in works off of a modified block schedule. This means we have 3 regular days of 8 periods/day and 2 days of 4 blocks days  (86 minute classes). On block days, students would be given time to work on their project. The students behaviors would be reinforced through the concept of check ins and they would not be allowed to move forward with their project until the previous part is completed (per rubric).  Ideally, this would motivate students to work diligently on their assignment and encourage intrinsic motivation. 

The use of technology through a behavioristic approach provides students with a 21st century learning experiences. Students are still rewarded or punished based off their behavior, but simply on a more immediate, technological basis. 


International Society for Technology in Education (ISTE). (2016). Standards for students. Retrieved from

International Socitey for Technology in Education (ISTE). (2008). Standards for teachers. Retrieved from

Laureate Education (Producer). (2015j). The changing work environment [Video file]. Baltimore, MD: Author.

Wednesday, January 18, 2017

Greetings From the Unknown World of Blogging

Purpose of Blog in Classroom:

Blogging within certain content areas may deem more acceptable than others. In my current position, as a PE and Health teacher I cannot wrap my mind around wasting valuable class time to allow for a blogging experience. Students need to be active in PE. Therefore, if blogging was a requirement, it would be an at home assignment for students to complete. However, within the health curriculum, students would be able to utilize their time in class to blog as I have them do now. Students currently write in a blue journal for the first 5 minutes of class regarding a topic of their own or a given prompt. This provides students with an opportunity to relieve stress (one of the topics covered) or express their current issues/feelings etc. 

The purpose of utilizing a blog in the classroom would be a to provide students with a safe, private place to write or express their feelings. My blog assignments would be used by students within their health education. I would monitor progress on a weekly basis to ensure students are providing well in depth understanding of a topic or a well written expression piece.

Currently, I teach high school PE/Health under what we call "Wellness Education." Within the students wellness education programs, they learn about physical education skills, sports, fitness, and different movement patterns. The health education students receive promote healthy nutrition strategies, stress management, bullying and much more.

The wellness program encourages and promotes lifelong physical activity in hopes of creating students who enjoy participating in activity now and later on in their life. My students are freshmen and juniors who are fully capable of blogging as it would allow for differentiated approaches with keeping the space casual. I would be incorporating blogging in the health education cycle and encourage students to use it as a form of stress management. Although coping with stress can take place in many forms, I feel as though students who are provided with a safe place to blog and de-load will be a great experience.The benefits of blogging for stress relief definitely outweigh the drawbacks. Blogging helps decrease stress through social interaction with others. ( Lukas n.d.)

The technology standards for both students and teachers challenge both groups of individuals to implement and utilize technology within a specific setting. Using a blog to reach these standards is a great way to go about doing so. Since the students will be blogging in their own personal space, the standard being met is ISTE 6: Creative Communicator (ISTE 2016). This standard will be met because students will be communicating clearly and expressing themselves creatively through the use of their own personal blog. The second technology standard that students also meet through the use of implementing blogging in such fashion would be ISTE 2: Digital Citizen (ISTE 2016). This standard is being met through the use of an online forum ( blog space) that promotes and requires students to abide by the rights, responsibilities and opportunities provided in the digital forum.

Implementing the blog also meets standards for teachers who are providing an educational experience. The first standard that this meets for teachers is ISTE 3: Model Digital Age Work and Learning (ISTE 2008). This is met through providing weekly samples of blogs for students to appropriately model after. The second standard that this meets for teachers is ISTE 2: Designing and Developing Age Learning Experiences and Assessments (ISTE 2008). This is met through providing a safe, comfortable blog space that utilizes technology integration rather than a simple paper and pencil assignment.

The use of blogging can be utilized as an educational tool for students in many settings. Within the Health Education setting, it can be utilized to promote stress management skills and the ability to appropriately express feelings/expressions/ideas on topics.


International Society for Technology in Education (ISTE). (2016). Standards for students. Retrieved from

International Socitey for Technology in Education (ISTE). (2008). Standards for teachers. Retrieved from

Lukas, J. (n.d.). Coping through blogging: A review of studies on the potential benefits of weblogs for stress reduction. Retrieved January 20, 2017.